Madhavan Swaminathan, CHIMES director, head of electrical engineering and William E. Leonhard Endowed Chair in the Penn State School of Electrical Engineering and Computer Science. Credit: Tyler Henderson/Penn State
CHIMES reflects on success, looks to lead semiconductor research in year two
November 1, 2023
By Sarah Small
UNIVERSITY PARK, Pa. — The Penn State-led Center for Heterogeneous Integration of Micro Electronic Systems (CHIMES) held its first annual center review on Sept. 5-6 at University Park. The meeting was attended by representatives from the fifteen university partners as well as by the Semiconductor Research Corporation (SRC), industry sponsors and the Defense Advanced Research Projects Agency. CHIMES, which is one of seven centers funded through the SRC’s Joint University Microelectronics Program 2.0, is led by Madhavan Swaminathan, head of electrical engineering and William E. Leonhard Endowed Chair in the Penn State School of Electrical Engineering and Computer Science.
Below is a Q&A with Swaminathan about the annual meeting, the progress CHIMES has made and its goals for the upcoming year and beyond.
Q: What were some of the major accomplishments in the center’s first year?
~~~
1.
Below is crystalline GdLuMnIr at its relaxed geometry, with properties calculated at the PBE level.

Energy relative to the elements   -0.333 eV/atom
Total energy   -9.491 eV per atom

abc: 6.897 6.897 6.897
angles: 90.00 90.00 90.00
Space group F-43m (No. 216)
Symmetry-distinct sites (fractional):
1 Gd 0.000 0.000 0.000
2 Lu 0.000 0.000 0.500
3 Mn 0.250 0.250 0.250
4 Ir 0.250 0.250 0.750

---

2.
Below is crystalline GdLuNiIr at its relaxed geometry, with properties calculated at the PBE level.

Energy relative to the elements   -0.661 eV/atom
Total energy   -8.972 eV per atom

abc: 6.778 6.778 6.778
angles: 90.00 90.00 90.00
Space group F-43m (No. 216)
Symmetry-distinct sites (fractional):
1 Gd 0.000 0.000 0.000
2 Lu 0.000 0.000 0.500
3 Ni 0.250 0.250 0.250
4 Ir 0.250 0.250 0.750

---

3.
Below is crystalline GdLuIrOs at its relaxed geometry, with properties calculated at the PBE level.

Energy relative to the elements   -0.467 eV/atom
Total energy   -10.140 eV per atom

abc: 6.790 6.790 6.790
angles: 90.00 90.00 90.00
Space group F-43m (No. 216)
Symmetry-distinct sites (fractional):
1 Gd 0.000 0.000 0.000
2 Lu 0.000 0.000 0.500
3 Ir 0.250 0.250 0.250
4 Os 0.250 0.250 0.750

---

4.
Below is crystalline GdLuIrPb at its relaxed geometry, with properties calculated at the PBE level.

Energy relative to the elements   -0.475 eV/atom
Total energy   -8.268 eV per atom

abc: 7.229 7.229 7.229
angles: 90.00 90.00 90.00
Space group F-43m (No. 216)
Symmetry-distinct sites (fractional):
1 Gd 0.000 0.000 0.000
2 Lu 0.000 0.000 0.500
3 Ir 0.250 0.250 0.250
4 Pb 0.250 0.250 0.750

---

5.
Below is crystalline GdLuIrPd at its relaxed geometry, with properties calculated at the PBE level.

Energy relative to the elements   -0.909 eV/atom
Total energy   -9.073 eV per atom

abc: 6.889 6.889 6.889
angles: 90.00 90.00 90.00
Space group F-43m (No. 216)
Symmetry-distinct sites (fractional):
1 Gd 0.000 0.000 0.000
2 Lu 0.000 0.000 0.500
3 Ir 0.250 0.250 0.250
4 Pd 0.250 0.250 0.750

---

6.
Below is crystalline GdLuIrPt at its relaxed geometry, with properties calculated at the PBE level.

Energy relative to the elements   -1.026 eV/atom
Total energy   -9.402 eV per atom

abc: 6.883 6.883 6.883
angles: 90.00 90.00 90.00
Space group F-43m (No. 216)
Symmetry-distinct sites (fractional):
1 Gd 0.000 0.000 0.000
2 Lu 0.000 0.000 0.500
3 Ir 0.250 0.250 0.750
4 Pt 0.250 0.250 0.250

---

7.
Below is crystalline GdLuIrRu at its relaxed geometry, with properties calculated at the PBE level.

Energy relative to the elements   -0.629 eV/atom
Total energy   -9.814 eV per atom

abc: 6.785 6.785 6.785
angles: 90.00 90.00 90.00
Space group F-43m (No. 216)
Symmetry-distinct sites (fractional):
1 Gd 0.000 0.000 0.000
2 Lu 0.000 0.000 0.500
3 Ir 0.250 0.250 0.750
4 Ru 0.250 0.250 0.250

---

8.
Below is crystalline GdLuTcIr at its relaxed geometry, with properties calculated at the PBE level.

Energy relative to the elements   -0.344 eV/atom
Total energy   -9.802 eV per atom
~~~
So much for the records of crystals >
In the first year of CHIMES, we demonstrated good team building across the center by directors, principal investigators and students. As a center we were able to set our goals, gain clarity and develop depth on proposed approaches and successfully manage challenges. We did a great job onboarding many new students and having them participate in the annual review on short notice. Through a flipped panel on broadening participation, we were able to hear fresh ideas directly from students and engage with them for insightful discussions. On the technical front, we showed significant progress in advancing the State of the Art (SOTA) with specific focus on power delivery, integrated voltage regulators, silicon with GaN Integration, materials for thermal management and multi-functional thermal management and electro-thermal modeling. The feedback that we received from our sponsors is that CHIMES is a role model for other centers.
Between two parts of the entry: records of crystals.
<<<
Entry 1:
PBE Rb4Ac3NpSe8, optimized geometry; raw total energy = -83.38 eV per cell; space group = No. 166; magnetic moment = 4.0 Bohr magnetons per cell; E_form (uncorrected) = -1.65 eV/atom
1.0
4.5527 2.6285 8.0245
-4.5527 2.6285 8.0245
0.0000 -5.2570 8.0245
Rb Ac Np Se
4 3 1 8
direct
0.0000 0.0000 0.0000 Rb
0.0000 0.5000 0.5000 Rb
0.5000 0.0000 0.5000 Rb
0.5000 0.5000 0.0000 Rb
0.0000 0.0000 0.5000 Ac
0.0000 0.5000 0.0000 Ac
0.5000 0.0000 0.0000 Ac
0.5000 0.5000 0.5000 Np
0.2367 0.2367 0.2367 Se
0.2466 0.7278 0.7278 Se
0.2722 0.2722 0.7534 Se
0.2722 0.7534 0.2722 Se
0.7278 0.2466 0.7278 Se
0.7278 0.7278 0.2466 Se
0.7534 0.2722 0.2722 Se
0.7633 0.7633 0.7633 Se



Entry 2:
PBE Rb2AcNpSe4, optimized geometry; raw total energy = -44.90 eV per cell; space group = No. 10; magnetic moment = 4.0 Bohr magnetons per cell; E_form (uncorrected) = -1.50 eV/atom
1.0
7.7557 0.0000 0.0000
0.0000 4.4738 0.0000
-2.5896 0.0000 8.0237
Rb Ac Np Se
2 1 1 4
direct
>>>
Q: Would you discuss the importance of the partnerships and the role that Penn State is playing as the leader of CHIMES?
The technical focus of CHIMES is complex and cuts across many areas. We need top notch faculty working in these areas, and this is where our partners come in—our 14 university partners are key to the success of CHIMES and to the principal investigators involved. Ultimately, a center can only gel together if there is a cohesive vision and technical approach that brings the various elements together. That is the role of Penn State as the leader of CHIMES. I strongly believe that Penn State with its partners will define the future of semiconductor packaging through CHIMES.
Q: What are your goals for the next year for the center?
With funding from the CHIPS Act on the horizon, I believe CHIMES can play a critical role in helping the U.S. establish leadership in semiconductor packaging. This requires a vision that combines technical leadership with workforce development. In parallel, we will continue to advance SOTA based on a 10-year roadmap that we have developed working closely with our university partners and sponsors. We currently have 83 graduate students supported in the center, but education goes far beyond just graduate students. A major focus for CHIMES in year two would be to get undergraduate students involved through several Research Experiences for Undergraduates programs.